**Listing**
~~~
Here is a 2-piece molecular cluster, C5H10O overall from the Open Molecules 2025 dataset. Energies are from ωB97M-V with the def2-TZVPD basis set.

Geometry as XYZ:
```
16
Properties=species:S:1:pos:R:3:nbo_charge:R:1
C -0.8565 -0.2092 -1.7463 -0.598
C 0.0180 -0.2151 -0.4964 -0.268
C 0.0375 1.1099 0.2849 -0.578
C 0.0846 0.7681 1.7618 0.308
O -0.2054 -0.5000 1.8514 -0.472
C -0.4711 -1.1793 0.5783 -0.097
H -0.4772 0.4998 -2.4894 0.217
H -0.8967 -1.1975 -2.2179 0.211
H -1.8824 0.0858 -1.4931 0.204
H 1.0478 -0.4778 -0.7706 0.209
H 0.8512 1.7877 0.0086 0.243
H -0.8983 1.6773 0.1546 0.240
H 2.3761 0.8027 1.9541 0.012
H 2.9319 0.5834 1.5056 -0.021
H 0.0504 -2.1384 0.6142 0.201
H -1.5523 -1.3542 0.5327 0.187
```

## Properties
E_LUMO, eV: 1.0
Relative energy (zero: lowest compared OMol25 entry of this formula, charge and spin), kcal/mol: 80.3
HOMO energy, eV: -8.41
Gap between HOMO and LUMO, eV: 9.37
Net charge: 0
Maximum force, eV Å⁻¹: 0.4

---

Here is an isolated ion of composition C4H8BrN4O and charge +1 from the Open Molecules 2025 dataset. Energies are from ωB97M-V with the def2-TZVPD basis set.

Geometry as XYZ:
```
18
Properties=species:S:1:pos:R:3:nbo_charge:R:1
C -2.2357 0.4139 0.1827 -0.111
C -2.2804 1.7535 0.2162 0.377
C 2.0474 -0.0285 -0.4991 -0.404
C 0.2762 -1.8808 -0.3043 -0.419
N -0.0375 1.6801 -0.4218 0.112
N -0.2730 0.4620 -0.1994 0.108
N -3.2950 2.6004 0.4220 -0.774
N 0.6816 -0.4821 -0.2567 -0.189
O -1.1106 2.4753 -0.2495 -0.272
Br -3.3239 -1.0482 0.0410 0.319
H 2.3216 0.5249 0.3567 0.227
H 2.5958 -1.0239 -0.6050 0.233
H 1.9841 0.5474 -1.3734 0.223
H 1.3042 -2.3737 -0.2579 0.237
H -0.1807 -2.1147 0.6506 0.231
H -0.2431 -2.1258 -1.2339 0.228
H -4.2157 2.2677 0.8589 0.448
H -2.9637 3.5139 0.4540 0.427
```

## Properties
E_LUMO, eV: -4.9
Relative energy (zero: lowest compared OMol25 entry of this formula, charge and spin), kcal/mol: 28.0
HOMO energy, eV: -13.17
Gap between HOMO and LUMO, eV: 8.31
Net charge: +1
Maximum force, eV Å⁻¹: 3.2

---

Here is C42H50AsCrO8SSe as an isolated structure from the Open Molecules 2025 dataset. Energies are from ωB97M-V with the def2-TZVPD basis set.

Geometry as XYZ:
```
104
Properties=species:S:1:pos:R:3:lowdin_spin:R:1
Cr -0.2860 0.0430 1.7313 2.863
C -4.5955 3.5238 -3.3734 0.000
C -3.6789 2.4420 -3.9605 0.001
C -4.5035 1.5969 -4.9314 0.000
C -2.5580 3.1242 -4.7577 0.000
C -3.0752 1.6046 -2.8345 0.004
C -2.2965 2.2137 -1.8533 -0.001
C -1.7278 1.4677 -0.8431 0.005
Se -0.6058 2.2893 0.4709 -0.013
C 1.0576 2.0530 -0.4430 0.006
C 1.4864 2.9948 -1.3531 -0.001
C 2.6632 2.8079 -2.0750 0.005
C 3.3714 1.6405 -1.8088 -0.001
C 2.9811 0.6642 -0.8940 0.002
C 1.7711 0.8571 -0.1756 0.003
O 1.3389 -0.0277 0.6691 0.018
C 3.9013 -0.5632 -0.7429 0.000
C 3.4366 -1.6401 0.2477 0.000
C 5.2854 -0.0864 -0.2740 0.000
C 4.0460 -1.2504 -2.1107 0.000
C 3.1024 3.8455 -3.1066 0.001
C 3.3061 5.2060 -2.4270 0.000
C 4.4116 3.4601 -3.7954 0.000
C 2.0200 3.9866 -4.1863 0.000
C -1.8872 0.0639 -0.7328 0.003
O -1.3285 -0.6159 0.2178 0.028
C -2.6983 -0.5631 -1.7125 0.002
C -3.2492 0.2279 -2.7189 0.000
C -3.0173 -2.0694 -1.7353 0.000
C -2.3839 -2.8880 -0.6022 0.000
C -4.5396 -2.2602 -1.6276 0.000
C -2.5264 -2.6683 -3.0634 0.000
H -5.0343 4.1312 -4.1723 0.000
H -4.0461 4.1895 -2.7060 0.000
H -5.4038 3.0720 -2.7950 0.000
H -4.9082 2.2378 -5.7200 0.000
H -5.3416 1.1095 -4.4287 0.000
H -3.8979 0.8212 -5.4049 0.000
H -2.9749 3.7336 -5.5668 0.000
H -1.8864 2.3803 -5.1916 0.000
H -1.9572 3.7745 -4.1195 0.000
H -2.1208 3.2848 -1.8702 0.000
H 0.8790 3.8812 -1.5062 0.000
H 4.2935 1.4669 -2.3496 0.000
H 3.3383 -1.2646 1.2639 0.000
H 4.1865 -2.4407 0.2357 0.000
H 2.4682 -2.0590 -0.0173 0.000
H 5.2066 0.4086 0.6958 0.000
H 5.7365 0.6185 -0.9761 0.000
H 5.9603 -0.9418 -0.1678 0.000
H 3.0716 -1.5901 -2.4675 0.000
H 4.7013 -2.1229 -2.0225 0.000
H 4.4680 -0.5859 -2.8677 0.000
H 4.0731 5.1376 -1.6527 0.000
H 2.3881 5.5532 -1.9506 0.000
H 3.6151 5.9602 -3.1584 0.000
H 5.2313 3.3660 -3.0796 0.000
H 4.6832 4.2327 -4.5203 0.000
~~~

**Activity**
It remains to find "-3.2950 2.6004" and "4.4680 -0.5859" in the entries earlier on, and retype these two lines and those between.

**Response**
N -3.2950 2.6004 0.4220 -0.774
N 0.6816 -0.4821 -0.2567 -0.189
O -1.1106 2.4753 -0.2495 -0.272
Br -3.3239 -1.0482 0.0410 0.319
H 2.3216 0.5249 0.3567 0.227
H 2.5958 -1.0239 -0.6050 0.233
H 1.9841 0.5474 -1.3734 0.223
H 1.3042 -2.3737 -0.2579 0.237
H -0.1807 -2.1147 0.6506 0.231
H -0.2431 -2.1258 -1.2339 0.228
H -4.2157 2.2677 0.8589 0.448
H -2.9637 3.5139 0.4540 0.427
```

## Properties
E_LUMO, eV: -4.9
Relative energy (zero: lowest compared OMol25 entry of this formula, charge and spin), kcal/mol: 28.0
HOMO energy, eV: -13.17
Gap between HOMO and LUMO, eV: 8.31
Net charge: +1
Maximum force, eV Å⁻¹: 3.2

---

Here is C42H50AsCrO8SSe as an isolated structure from the Open Molecules 2025 dataset. Energies are from ωB97M-V with the def2-TZVPD basis set.

Geometry as XYZ:
```
104
Properties=species:S:1:pos:R:3:lowdin_spin:R:1
Cr -0.2860 0.0430 1.7313 2.863
C -4.5955 3.5238 -3.3734 0.000
C -3.6789 2.4420 -3.9605 0.001
C -4.5035 1.5969 -4.9314 0.000
C -2.5580 3.1242 -4.7577 0.000
C -3.0752 1.6046 -2.8345 0.004
C -2.2965 2.2137 -1.8533 -0.001
C -1.7278 1.4677 -0.8431 0.005
Se -0.6058 2.2893 0.4709 -0.013
C 1.0576 2.0530 -0.4430 0.006
C 1.4864 2.9948 -1.3531 -0.001
C 2.6632 2.8079 -2.0750 0.005
C 3.3714 1.6405 -1.8088 -0.001
C 2.9811 0.6642 -0.8940 0.002
C 1.7711 0.8571 -0.1756 0.003
O 1.3389 -0.0277 0.6691 0.018
C 3.9013 -0.5632 -0.7429 0.000
C 3.4366 -1.6401 0.2477 0.000
C 5.2854 -0.0864 -0.2740 0.000
C 4.0460 -1.2504 -2.1107 0.000
C 3.1024 3.8455 -3.1066 0.001
C 3.3061 5.2060 -2.4270 0.000
C 4.4116 3.4601 -3.7954 0.000
C 2.0200 3.9866 -4.1863 0.000
C -1.8872 0.0639 -0.7328 0.003
O -1.3285 -0.6159 0.2178 0.028
C -2.6983 -0.5631 -1.7125 0.002
C -3.2492 0.2279 -2.7189 0.000
C -3.0173 -2.0694 -1.7353 0.000
C -2.3839 -2.8880 -0.6022 0.000
C -4.5396 -2.2602 -1.6276 0.000
C -2.5264 -2.6683 -3.0634 0.000
H -5.0343 4.1312 -4.1723 0.000
H -4.0461 4.1895 -2.7060 0.000
H -5.4038 3.0720 -2.7950 0.000
H -4.9082 2.2378 -5.7200 0.000
H -5.3416 1.1095 -4.4287 0.000
H -3.8979 0.8212 -5.4049 0.000
H -2.9749 3.7336 -5.5668 0.000
H -1.8864 2.3803 -5.1916 0.000
H -1.9572 3.7745 -4.1195 0.000
H -2.1208 3.2848 -1.8702 0.000
H 0.8790 3.8812 -1.5062 0.000
H 4.2935 1.4669 -2.3496 0.000
H 3.3383 -1.2646 1.2639 0.000
H 4.1865 -2.4407 0.2357 0.000
H 2.4682 -2.0590 -0.0173 0.000
H 5.2066 0.4086 0.6958 0.000
H 5.7365 0.6185 -0.9761 0.000
H 5.9603 -0.9418 -0.1678 0.000
H 3.0716 -1.5901 -2.4675 0.000
H 4.7013 -2.1229 -2.0225 0.000
H 4.4680 -0.5859 -2.8677 0.000